Deletes an AWS IAM role. Any separate policies are detached from the role, and any inline policies are deleted. |
Creates an AWS IAM role. Any separate policies are detached from the role, and any inline policies are deleted. |
Initialization of an action collection, an action collection contains allowed Actions and NotActions |
Combines two action collections |
Check whether given set of actions are a subset of another given set of actions, returns true if they are |
Takes a permission and checks whether it's contained within a list of given permissions |
Given a policy document, go through each statement and create an AllowedActionCollection representing the |
Go through all attached policy documents and create an AllowedActionCollection representing granted permissions. |
Returns a dictionary containing a list of all aws actions allowed for a given role. |
Collect all of the actions allowed by the given policy documents into one AllowedActionCollection. |
Gets all allowed actions for a user given by user_name, returns a dictionary, keyed by resource, |
+++
Entry 1:
Theoretical powder XRD pattern
Compound: CdRu8
Radiation: CuKα
Structure: DFT lattice parameters and positions (GGA-PBE)
Neutral-atom scattering factors, no anomalous dispersion.

Top 6 peaks for 2θ from 10° to 80°, by angle:
| 2theta | Rel. int. |
| --- | --- |
| 40.28 | 100 |
| 46.73 | 32 |
| 47.11 | 16 |
| 65.59 | 2 |
| 68.23 | 9 |
| 68.53 | 20 |

Cell and atoms:
```
data_CdRu8
_chemical_formula_sum 'Cd1 Ru8'
_cell_length_a 6.142
_cell_length_b 6.142
_cell_length_c 6.142
_cell_angle_alpha 95.66
_cell_angle_beta 95.66
_cell_angle_gamma 143.39
_space_group_name_H-M_alt 'P 1'
_space_group_IT_number 1
loop_
_space_group_symop_operation_xyz
'x,y,z'
loop_
_atom_site_label
_atom_site_type_symbol
_atom_site_fract_x
_atom_site_fract_y
_atom_site_fract_z
Cd1 Cd 0.000 0.000 0.000
Ru1 Ru 0.000 0.344 0.344
Ru2 Ru 0.000 0.656 0.656
Ru3 Ru 0.324 0.324 0.647
Ru4 Ru 0.324 0.676 0.000
Ru5 Ru 0.344 0.000 0.344
Ru6 Ru 0.656 0.000 0.656
Ru7 Ru 0.676 0.324 0.000
Ru8 Ru 0.676 0.676 0.353
```

***

Entry 2:
Theoretical powder XRD pattern
Compound: Na2Lu3Te4I3O12
Radiation: CuKα
Structure: DFT lattice parameters and positions (GGA-PBE)
Neutral-atom scattering factors, no anomalous dispersion.

Top 6 peaks for 2θ from 10° to 80°, by angle:
| 2theta | Rel. int. |
| --- | --- |
| 29.72 | 100 |
| 32.13 | 14 |
| 32.28 | 15 |
| 46.19 | 15 |
| 51.17 | 12 |
| 55.80 | 13 |

Cell and atoms:
```
data_Na2Lu3Te4I3O12
_chemical_formula_sum 'Na4 Lu6 Te8 I6 O24'
_cell_length_a 9.332
_cell_length_b 5.546
_cell_length_c 16.714
_cell_angle_alpha 90.00
_cell_angle_beta 90.07
_cell_angle_gamma 90.00
_space_group_name_H-M_alt 'P 1'
_space_group_IT_number 1
loop_
_space_group_symop_operation_xyz
'x,y,z'
loop_
_atom_site_label
_atom_site_type_symbol
_atom_site_fract_x
_atom_site_fract_y
_atom_site_fract_z
Na1 Na 0.204 0.238 0.413
Na2 Na 0.204 0.762 0.913
Na3 Na 0.796 0.238 0.087
Na4 Na 0.796 0.762 0.587
Lu1 Lu 0.499 0.246 0.585
Lu2 Lu 0.499 0.754 0.085
Lu3 Lu 0.500 0.253 0.250
Lu4 Lu 0.500 0.747 0.750
Lu5 Lu 0.501 0.246 0.915
Lu6 Lu 0.501 0.754 0.415
Te1 Te 0.252 0.292 0.767
Te2 Te 0.252 0.708 0.267
Te3 Te 0.256 0.213 0.066
Te4 Te 0.256 0.787 0.566
Te5 Te 0.744 0.213 0.434
Te6 Te 0.744 0.787 0.934
Te7 Te 0.748 0.292 0.733
Te8 Te 0.748 0.708 0.233
I1 I 0.000 0.247 0.250
I2 I 0.000 0.753 0.750
I3 I 0.003 0.253 0.583
I4 I 0.003 0.747 0.083
I5 I 0.997 0.253 0.917
I6 I 0.997 0.747 0.417
O1 O 0.345 0.493 0.342
O2 O 0.345 0.507 0.842
O3 O 0.349 0.006 0.493
O4 O 0.349 0.994 0.993
O5 O 0.368 0.040 0.813
O6 O 0.368 0.960 0.313
O7 O 0.373 0.427 0.685
O8 O 0.373 0.460 0.021
O9 O 0.373 0.540 0.521
O10 O 0.373 0.573 0.185
O11 O 0.380 0.079 0.146
O12 O 0.380 0.921 0.646
O13 O 0.620 0.079 0.354
O14 O 0.620 0.921 0.854
O15 O 0.627 0.427 0.815
O16 O 0.627 0.460 0.479
O17 O 0.627 0.540 0.979
O18 O 0.627 0.573 0.315
O19 O 0.632 0.040 0.687
O20 O 0.632 0.960 0.187
O21 O 0.651 0.006 0.007
O22 O 0.651 0.994 0.507
O23 O 0.655 0.493 0.158
O24 O 0.655 0.507 0.658
```

***

Entry 3:
+++
(Here the entry continues)
Gets all allowed actions for a group given by group_name, returns a dictionary, keyed by resource, |
Returns an action collection containing lists of all permission grant patterns keyed by resource |
Returns AWS account num |
Module Contents¶
- = ['iam:CreateRole', 'iam:CreateInstanceProfile', 'iam:TagInstanceProfile', 'iam:DeleteRole',...¶
-, region=None, quiet=True)¶
-, region=None, quiet=True)¶
-- Records of crystals that have nothing to do with the entry --
~~~
Record 1
Theoretical PXRD pattern
Compound: GaNiF4
Radiation: a wavelength of 1.5418 Å
Structure: a crystal structure in Alexandria, relaxed with GGA+U

Atomic structure:
Cell lengths 4.607, 3.027, 6.245 Å; angles 90.00, 109.28, 90.00 degrees
Sites, in units of the cell vectors:
Ga 0.000 0.000 0.000
Ni 0.500 0.500 0.500
F 0.159 0.500 0.873
F 0.355 0.000 0.263
F 0.645 0.000 0.737
F 0.841 0.500 0.127

Top 12 peaks for 10° ≤ 2θ ≤ 80°, most intense first:
2θ = 21.00°, intensity 100.0; 2θ = 42.96°, intensity 39.8; 2θ = 29.27°, intensity 35.6; 2θ = 33.27°, intensity 26.6; 2θ = 36.16°, intensity 15.9; 2θ = 55.78°, intensity 14.7; 2θ = 30.32°, intensity 14.0; 2θ = 49.77°, intensity 13.6; 2θ = 60.35°, intensity 12.3; 2θ = 52.46°, intensity 11.0; 2θ = 58.44°, intensity 10.9; 2θ = 15.03°, intensity 9.0

Record 2
Theoretical PXRD pattern
Compound: GaNiF6
Radiation: a wavelength of 1.5418 Å
Structure: a crystal structure in Alexandria, relaxed with GGA+U

Atomic structure:
Cell lengths 4.878, 4.878, 8.942 Å; angles 90.00, 90.00, 120.00 degrees
Sites, in units of the cell vectors:
Ga 0.333 0.667 0.250
Ga 0.667 0.333 0.750
Ni 0.000 0.000 0.000
Ni 0.000 0.000 0.500
F 0.027 0.334 0.124
F 0.027 0.693 0.376
F 0.307 0.334 0.376
F 0.307 0.973 0.124
F 0.334 0.027 0.624
F 0.334 0.307 0.876
F 0.666 0.693 0.124
F 0.666 0.973 0.376
F 0.693 0.027 0.876
F 0.693 0.666 0.624
F 0.973 0.307 0.624
F 0.973 0.666 0.876

Top 12 peaks for 10° ≤ 2θ ≤ 80°, most intense first:
2θ = 29.08°, intensity 100.0; 2θ = 23.29°, intensity 83.3; 2θ = 55.79°, intensity 56.8; 2θ = 36.88°, intensity 32.9; 2θ = 42.21°, intensity 31.6; 2θ = 66.40°, intensity 29.0; 2θ = 47.62°, intensity 24.5; 2θ = 61.69°, intensity 21.8; 2θ = 21.03°, intensity 12.9; 2θ = 58.75°, intensity 10.3; 2θ = 53.15°, intensity 10.3; 2θ = 66.53°, intensity 8.4


Record 1
For MgMoAsO5, the PBE+U geometry in the Materials Project gives the computed XRD peak list in this record (Cu Kα, 1.54184 Å).

Largest 12 diffraction maxima, sorted by position, 2θ = 10–80°:
2θ = 14.9°, I 100
2θ = 16.9°, I 51
2θ = 20.1°, I 29
2θ = 21.9°, I 28
2θ = 25.7°, I 47
2θ = 30.2°, I 49
2θ = 30.9°, I 66
2θ = 32.9°, I 43
2θ = 34.1°, I 23
2θ = 34.9°, I 28
2θ = 35.9°, I 28
2θ = 54.0°, I 42

Structural model:
Unit cell a=6.6258 b=8.1334 c=8.6567 alpha=90.00 beta=90.00 gamma=90.00
Space group P2_12_12_1 (No. 19)
One atom of each set of equivalent atoms:
Mg  0.1290  0.1626  0.3232 (multiplicity 4)
Mo  0.2347  0.7523  0.4955 (multiplicity 4)
As  0.0264  0.0920  0.6760 (multiplicity 4)
O  0.0133  0.1534  0.1190 (multiplicity 4)
O  0.0139  0.4070  0.9215 (multiplicity 4)
O  0.0933  0.2288  0.5384 (multiplicity 4)
O  0.1939  0.6497  0.7339 (multiplicity 4)
O  0.2116  0.0596  0.8138 (multiplicity 4)


Record 2
For MgNiAs2O7, the PBE+U geometry in the Materials Project gives the computed XRD peak list in this record (Cu Kα, 1.54184 Å).

Largest 12 diffraction maxima, sorted by position, 2θ = 10–80°:
2θ = 20.7°, I 11
2θ = 22.2°, I 9
2θ = 26.7°, I 6
2θ = 28.3°, I 100
~~~
Deletes an AWS IAM role. Any separate policies are detached from the role, and any inline policies are deleted.
-, assume_role_policy_document, policies, region=None)¶
Creates an AWS IAM role. Any separate policies are detached from the role, and any inline policies are deleted.
Initialization of an action collection, an action collection contains allowed Actions and NotActions by resource, these are patterns containing wildcards, an Action explicitly allows a matched pattern, eg ec2:* will explicitly allow all ec2 permissions
A NotAction will explicitly allow all actions that don’t match a specific pattern eg iam:* allows all non iam actions
- Return type:
-, b)¶
Combines two action collections
- Parameters:
a (AllowedActionCollection)
b (AllowedActionCollection)
- Return type:
-, required_permissions=[])¶
Check whether given set of actions are a subset of another given set of actions, returns true if they are otherwise false and prints a warning.
-, list_perms)¶
Takes a permission and checks whether it’s contained within a list of given permissions Returns True if it is otherwise False
Given a policy document, go through each statement and create an AllowedActionCollection representing the permissions granted in the policy document.
- Parameters:
policy_doc (mypy_boto3_iam.type_defs.PolicyDocumentDictTypeDef) – A policy document to examine
- Return type:
-, attached_policies)¶
Go through all attached policy documents and create an AllowedActionCollection representing granted permissions.
- Parameters:
iam (mypy_boto3_iam.IAMClient) – IAM client to use
attached_policies (list[mypy_boto3_iam.type_defs.AttachedPolicyTypeDef]) – Attached policies
- Return type:
-, policy_names, role_name)¶
Returns a dictionary containing a list of all aws actions allowed for a given role. This dictionary is keyed by resource and gives a list of policies allowed on that resource.
Collect all of the actions allowed by the given policy documents into one AllowedActionCollection.
-, policy_names, user_name)¶
Gets all allowed actions for a user given by user_name, returns a dictionary, keyed by resource, with a list of permissions allowed for each given resource.
-, policy_names, group_name)¶
Gets all allowed actions for a group given by group_name, returns a dictionary, keyed by resource, with a list of permissions allowed for each given resource.
Returns an action collection containing lists of all permission grant patterns keyed by resource that they are allowed upon. Requires AWS credentials to be associated with a user or assumed role.
- Parameters:
zone – AWS zone to connect to
region (str)
- Return type: